Data:
____________
Entry 1:
For Ni4Te3N2, a PBE-relaxed structure gives the calculated powder XRD pattern in this record (Cu Kα X-rays).
Neutral-atom scattering factors, no anomalous dispersion.

Cell and atoms:
a = 6.2612 Å, b = 10.5678 Å, c = 8.8878 Å
α = 90.00°, β = 90.00°, γ = 90.00°
Fractional positions:
Ni  0.0231  0.2500  0.1478
Ni  0.1920  0.5411  0.0640
Ni  0.1920  0.9589  0.0640
Ni  0.2072  0.2500  0.9144
Ni  0.2928  0.7500  0.4144
Ni  0.3080  0.0411  0.5640
Ni  0.3080  0.4589  0.5640
Ni  0.4769  0.7500  0.6478
Ni  0.5231  0.2500  0.3522
Ni  0.6920  0.5411  0.4360
Ni  0.6920  0.9589  0.4360
Ni  0.7072  0.2500  0.5856
Ni  0.7928  0.7500  0.0856
Ni  0.8080  0.0411  0.9360
Ni  0.8080  0.4589  0.9360
Ni  0.9769  0.7500  0.8522
Te  0.0558  0.0604  0.3222
Te  0.0558  0.4396  0.3222
Te  0.1151  0.2500  0.6442
Te  0.3849  0.7500  0.1442
Te  0.4442  0.5604  0.8222
Te  0.4442  0.9396  0.8222
Te  0.5558  0.0604  0.1778
Te  0.5558  0.4396  0.1778
Te  0.6151  0.2500  0.8558
Te  0.8849  0.7500  0.3558
Te  0.9442  0.5604  0.6778
Te  0.9442  0.9396  0.6778
N  0.0637  0.1182  0.0054
N  0.0637  0.3818  0.0054
N  0.4363  0.6182  0.5054
N  0.4363  0.8818  0.5054
N  0.5637  0.1182  0.4946
N  0.5637  0.3818  0.4946
N  0.9363  0.6182  0.9946
N  0.9363  0.8818  0.9946

Largest 8 diffraction maxima, by intensity, 10° ≤ 2θ ≤ 90°:
| Position (°2θ) | intensity |
| --- | --- |
| 35.54 | 100 |
| 27.23 | 58 |
| 34.81 | 54 |
| 33.46 | 48 |
| 31.42 | 39 |
| 29.76 | 39 |
| 51.36 | 34 |
| 53.28 | 30 |

***

Entry 2:
For Ca5Mn2N6, a PBE-relaxed structure gives the calculated powder XRD pattern in this record (Cu Kα X-rays).
Neutral-atom scattering factors, no anomalous dispersion.

Cell and atoms:
a = 6.3667 Å, b = 4.9634 Å, c = 6.8488 Å
α = 90.00°, β = 103.05°, γ = 90.00°
Fractional positions:
Ca  0.0000  0.0000  0.0000
Ca  0.0824  0.0000  0.4976
Ca  0.3137  0.5000  0.2934
Ca  0.4001  0.5000  0.8291
Ca  0.6022  0.0000  0.5605
Mn  0.5015  0.0000  0.1055
Mn  0.9148  0.5000  0.6922
N  0.0452  0.5000  0.9391
N  0.1001  0.5000  0.5402
N  0.3150  0.0000  0.2693
N  0.4061  0.0000  0.8486
N  0.6383  0.5000  0.5997
N  0.7579  0.0000  0.2285

Largest 8 diffraction maxima, by intensity, 10° ≤ 2θ ≤ 90°:
| Position (°2θ) | intensity |
| --- | --- |
| 36.20 | 100 |
| 34.12 | 70 |
| 32.33 | 61 |
| 22.32 | 55 |
| 32.86 | 42 |
| 28.82 | 34 |
| 34.77 | 34 |
| 44.13 | 22 |

***

Entry 3:
For HfP2S6, a PBE-relaxed structure gives the calculated powder XRD pattern in this record (Cu Kα X-rays).
Neutral-atom scattering factors, no anomalous dispersion.

Cell and atoms:
a = 12.3711 Å, b = 11.6619 Å, c = 7.1391 Å
α = 78.25°, β = 67.35°, γ = 34.40°
Fractional positions:
Hf  0.0000  0.0000  0.0000
Hf  0.2500  0.2500  0.2500
P  0.1193  0.2083  0.0047
P  0.2083  0.1193  0.6677
P  0.2453  0.5823  0.1307
P  0.5823  0.2453  0.0417
S  0.0053  0.4634  0.0589
S  0.0896  0.5742  0.3595
S  0.1836  0.6634  0.8691
S  0.1911  0.7776  0.2447
S  0.2734  0.8905  0.6758
S  0.3809  0.9661  0.0664
S  0.4634  0.0053  0.4724
S  0.5742  0.0896  0.9766
S  0.6634  0.1836  0.2839
S  0.7776  0.1911  0.7866
S  0.8905  0.2734  0.1604
S  0.9661  0.3809  0.5866

Largest 8 diffraction maxima, by intensity, 10° ≤ 2θ ≤ 90°:
| Position (°2θ) | intensity |
| --- | --- |
| 13.77 | 100 |
| 17.24 | 26 |
| 32.85 | 26 |
| 24.31 | 15 |
| 16.25 | 14 |
| 45.55 | 14 |
| 30.66 | 12 |
| 23.08 | 12 |

* * * * *

[1]
# Pm2PbCl8
Calculated powder diffraction line list, Cu Kα, 1.54184 Å. Input: a structure optimized by DFT (GGA-PBE).

Unit cell a=11.261 b=8.804 c=7.255 alpha=90.00 beta=104.02 gamma=90.00
Space group C2/m (No. 12)
One atom of each set of equivalent atoms:
Pm  0.181  0.000  0.446 (multiplicity 4)
Pb  0.000  0.500  0.000 (multiplicity 2)
Cl  0.063  0.000  0.740 (multiplicity 4)
Cl  0.139  0.309  0.322 (multiplicity 8)
Cl  0.198  0.500  0.829 (multiplicity 4)

Peak list (10 most intense, 10° ≤ 2θ ≤ 90°, low angle first)
Position (°2θ), I (rel.), index
16.6, 48, 1 1 -1
18.0, 82, 2 0 -1
19.4, 100, 1 1 1
20.2, 81, 0 2 0
____________

Exercise:
Echo the part of the listing further up that starts with the line with "0.5402" and stops after the one with "0.2447", please.

Response:
N  0.1001  0.5000  0.5402
N  0.3150  0.0000  0.2693
N  0.4061  0.0000  0.8486
N  0.6383  0.5000  0.5997
N  0.7579  0.0000  0.2285

Largest 8 diffraction maxima, by intensity, 10° ≤ 2θ ≤ 90°:
| Position (°2θ) | intensity |
| --- | --- |
| 36.20 | 100 |
| 34.12 | 70 |
| 32.33 | 61 |
| 22.32 | 55 |
| 32.86 | 42 |
| 28.82 | 34 |
| 34.77 | 34 |
| 44.13 | 22 |

***

Entry 3:
For HfP2S6, a PBE-relaxed structure gives the calculated powder XRD pattern in this record (Cu Kα X-rays).
Neutral-atom scattering factors, no anomalous dispersion.

Cell and atoms:
a = 12.3711 Å, b = 11.6619 Å, c = 7.1391 Å
α = 78.25°, β = 67.35°, γ = 34.40°
Fractional positions:
Hf  0.0000  0.0000  0.0000
Hf  0.2500  0.2500  0.2500
P  0.1193  0.2083  0.0047
P  0.2083  0.1193  0.6677
P  0.2453  0.5823  0.1307
P  0.5823  0.2453  0.0417
S  0.0053  0.4634  0.0589
S  0.0896  0.5742  0.3595
S  0.1836  0.6634  0.8691
S  0.1911  0.7776  0.2447